File
/*
A) Li3V2P3O12 PBE with a Hubbard U optimized geometry; volume = 11.41 Å³ per atom; symmetry = C2/c (15)
1.0
7.186 -4.429 0.000
7.186 4.429 0.000
-4.756 0.000 7.168
Li V P O
6 4 6 24
Direct
0.000 0.500 0.500
0.160 0.236 0.141
0.236 0.160 0.641
0.500 0.000 0.000
0.764 0.840 0.359
0.840 0.764 0.859
0.143 0.635 0.352
0.365 0.857 0.148
0.635 0.143 0.852
0.857 0.365 0.648
0.044 0.956 0.750
0.255 0.446 0.966
0.446 0.255 0.466
0.554 0.745 0.534
0.745 0.554 0.034
0.956 0.044 0.250
0.016 0.124 0.702
0.054 0.771 0.581
0.098 0.440 0.770
0.124 0.016 0.202
0.187 0.455 0.110
0.229 0.946 0.919
0.251 0.406 0.429
0.319 0.615 0.031
0.385 0.681 0.469
0.406 0.251 0.929
0.440 0.098 0.270
0.455 0.187 0.610
0.545 0.813 0.390
0.560 0.902 0.730
0.594 0.749 0.071
0.615 0.319 0.531
0.681 0.385 0.969
0.749 0.594 0.571
0.771 0.054 0.081
0.813 0.545 0.890
0.876 0.984 0.798
0.902 0.560 0.230
0.946 0.229 0.419
0.984 0.876 0.298



B) Li3V2P3O12 PBE with a Hubbard U optimized geometry; volume = 11.78 Å³ per atom; symmetry = C2 (5)
1.0
7.422 -4.416 0.000
7.422 4.416 0.000
-4.769 0.000 7.189
Li V P O
6 4 6 24
Direct
0.000 0.000 0.000
0.103 0.493 0.096
0.352 0.145 0.278
0.507 0.897 0.904
0.695 0.305 0.500
0.855 0.648 0.722
0.211 0.006 0.392
0.495 0.296 0.104
0.704 0.505 0.896
0.994 0.789 0.608
0.098 0.188 0.794
0.303 0.697 0.000
0.391 0.609 0.500
0.600 0.101 0.701
0.812 0.902 0.206
0.899 0.400 0.299
0.051 0.030 0.780
0.081 0.230 0.299
0.110 0.718 0.846
0.138 0.149 0.623
0.233 0.643 0.556
0.260 0.217 0.981
0.282 0.890 0.154
0.336 0.539 0.061
0.357 0.767 0.444
0.414 0.415 0.341
0.442 0.079 0.513
0.461 0.664 0.939
0.541 0.138 0.862
0.585 0.586 0.659
0.619 0.062 0.183
0.654 0.262 0.730
0.738 0.346 0.270
0.770 0.919 0.701
0.783 0.740 0.019
0.851 0.862 0.377
0.862 0.459 0.138
0.921 0.558 0.487
0.938 0.381 0.817
0.970 0.949 0.220



C) Li3V2P3O12 PBE with a Hubbard U optimized geometry; volume = 11.81 Å³ per atom; symmetry = P2_1/c (14)
1.0
8.755 0.000 0.000
0.000 8.742 0.000
-8.658 0.000 12.342
Li V P O
12 8 12 48
Direct
0.052 0.215 0.325
0.052 0.285 0.825
0.342 0.596 0.293
0.342 0.904 0.793
0.390 0.228 0.221
0.390 0.272 0.721
0.610 0.728 0.279
0.610 0.772 0.779
0.658 0.096 0.207
0.658 0.404 0.707
0.948 0.715 0.175
0.948 0.785 0.675
0.132 0.537 0.388
0.132 0.963 0.888
0.363 0.531 0.108
0.363 0.969 0.608
0.637 0.031 0.392
0.637 0.469 0.892
0.868 0.037 0.112
0.868 0.463 0.612
0.039 0.106 0.646
0.039 0.394 0.146
0.251 0.608 0.647
0.251 0.892 0.147
0.461 0.247 0.996
0.461 0.253 0.496
0.539 0.747 0.504
0.539 0.753 0.004
0.749 0.108 0.853
0.749 0.392 0.353
0.961 0.606 0.854
0.961 0.894 0.354
0.016 0.235 0.182
0.016 0.265 0.682
0.084 0.518 0.234
0.084 0.982 0.734
0.098 0.596 0.668
0.098 0.904 0.168
0.133 0.552 0.961
0.133 0.948 0.461
0.174 0.578 0.530
0.174 0.922 0.030
0.215 0.112 0.644
0.215 0.388 0.144
0.270 0.164 0.929
0.270 0.336 0.429
0.331 0.724 0.181
0.331 0.776 0.681
0.376 0.634 0.431
0.376 0.866 0.931
0.416 0.006 0.221
0.416 0.494 0.721
0.459 0.150 0.579
0.459 0.350 0.079
0.480 0.170 0.413
0.480 0.330 0.913
0.520 0.670 0.087
0.520 0.830 0.587
0.541 0.650 0.921
0.541 0.850 0.421
0.584 0.506 0.279
0.584 0.994 0.779
0.624 0.134 0.069
0.624 0.366 0.569
0.669 0.224 0.319
0.669 0.276 0.819
0.730 0.664 0.571
0.730 0.836 0.071
0.785 0.612 0.856
0.785 0.888 0.356
0.826 0.078 0.970
0.826 0.422 0.470
0.867 0.052 0.539
0.867 0.448 0.039
0.902 0.096 0.832
0.902 0.404 0.332
0.916 0.018 0.266
0.916 0.482 0.766
0.984 0.735 0.318
0.984 0.765 0.818



Energies, relative to the best one, in meV per atom: A) 28; B) 37; C) 0.



A) LiMn2OF5 PBE with a Hubbard U optimized geometry; volume = 11.34 Å³ per atom; symmetry = Cc (9)
1.0
3.290 -3.281 0.000
3.290 3.281 0.000
-0.790 0.000 18.913
Li Mn O F
4 8 4 20
Direct
0.005 0.995 0.500
0.501 0.515 0.750
0.515 0.501 0.250
0.995 0.005 0.000
0.021 0.030 0.832
0.027 0.991 0.161
0.030 0.021 0.332
0.482 0.524 0.083
0.487 0.494 0.912
0.494 0.487 0.412
0.524 0.482 0.583
0.991 0.027 0.661
0.198 0.805 0.086
0.304 0.310 0.835
0.310 0.304 0.335
*/

Wanted
Transcribe the lines earlier on from the one with "0.857 0.365" to the one with "0.793" without additions.

Reply
0.857 0.365 0.648
0.044 0.956 0.750
0.255 0.446 0.966
0.446 0.255 0.466
0.554 0.745 0.534
0.745 0.554 0.034
0.956 0.044 0.250
0.016 0.124 0.702
0.054 0.771 0.581
0.098 0.440 0.770
0.124 0.016 0.202
0.187 0.455 0.110
0.229 0.946 0.919
0.251 0.406 0.429
0.319 0.615 0.031
0.385 0.681 0.469
0.406 0.251 0.929
0.440 0.098 0.270
0.455 0.187 0.610
0.545 0.813 0.390
0.560 0.902 0.730
0.594 0.749 0.071
0.615 0.319 0.531
0.681 0.385 0.969
0.749 0.594 0.571
0.771 0.054 0.081
0.813 0.545 0.890
0.876 0.984 0.798
0.902 0.560 0.230
0.946 0.229 0.419
0.984 0.876 0.298



B) Li3V2P3O12 PBE with a Hubbard U optimized geometry; volume = 11.78 Å³ per atom; symmetry = C2 (5)
1.0
7.422 -4.416 0.000
7.422 4.416 0.000
-4.769 0.000 7.189
Li V P O
6 4 6 24
Direct
0.000 0.000 0.000
0.103 0.493 0.096
0.352 0.145 0.278
0.507 0.897 0.904
0.695 0.305 0.500
0.855 0.648 0.722
0.211 0.006 0.392
0.495 0.296 0.104
0.704 0.505 0.896
0.994 0.789 0.608
0.098 0.188 0.794
0.303 0.697 0.000
0.391 0.609 0.500
0.600 0.101 0.701
0.812 0.902 0.206
0.899 0.400 0.299
0.051 0.030 0.780
0.081 0.230 0.299
0.110 0.718 0.846
0.138 0.149 0.623
0.233 0.643 0.556
0.260 0.217 0.981
0.282 0.890 0.154
0.336 0.539 0.061
0.357 0.767 0.444
0.414 0.415 0.341
0.442 0.079 0.513
0.461 0.664 0.939
0.541 0.138 0.862
0.585 0.586 0.659
0.619 0.062 0.183
0.654 0.262 0.730
0.738 0.346 0.270
0.770 0.919 0.701
0.783 0.740 0.019
0.851 0.862 0.377
0.862 0.459 0.138
0.921 0.558 0.487
0.938 0.381 0.817
0.970 0.949 0.220



C) Li3V2P3O12 PBE with a Hubbard U optimized geometry; volume = 11.81 Å³ per atom; symmetry = P2_1/c (14)
1.0
8.755 0.000 0.000
0.000 8.742 0.000
-8.658 0.000 12.342
Li V P O
12 8 12 48
Direct
0.052 0.215 0.325
0.052 0.285 0.825
0.342 0.596 0.293
0.342 0.904 0.793